-- Listing --
'''
*a*
Molecular formula: HN3S
Method: DFT, ωB97M-V/def2-TZVPD

The geometry in XYZ format:
```
5
Properties=species:S:1:pos:R:3
N 2.56726 -0.55478 0.42322
N 2.73197 0.20829 -0.34958
N 0.50414 -1.13978 0.35704
S -0.64042 -1.89432 -0.27280
H 0.41765 -0.65508 1.21645
```

Output
Structure (SMILES) = N#N.N=S
Kohn-Sham gap (spin up / spin down) = 0.271 / 0.271 Ha
LUMO (spin up / spin down) = -0.042 / -0.041 hartree

*b*
Molecular formula: HN3S
Method: DFT, ωB97M-V/def2-TZVPD

The geometry in XYZ format:
```
5
Properties=species:S:1:pos:R:3
N 0.63296 -0.73966 -0.60739
N -1.49553 -0.91865 0.50588
N 0.69836 0.41475 -0.33679
S -1.40116 0.40697 1.05057
H 1.56538 0.83660 -0.61227
```

Output
Kohn-Sham gap (spin up / spin down) = 0.287 / 0.252 Ha
LUMO (spin up / spin down) = -0.023 / -0.032 hartree

Order from most stable to least stable according to the calculation: *a*, *b*

*a*
Molecular formula: H17O9
Method: DFT, ωB97M-V/def2-TZVPD

The geometry in XYZ format:
```
26
Properties=species:S:1:pos:R:3
O -0.30648 -0.63173 -0.83188
H -0.11304 2.67689 1.88223
H -1.70472 0.62005 -2.77497
O 1.41760 -2.31940 0.87880
H 0.45017 -2.26621 0.96436
O -1.49512 0.98838 1.72812
H -0.54935 0.81562 1.72448
H -1.73773 1.16151 0.80464
O -1.84173 1.16292 -1.17919
H 2.33771 -1.66572 2.57226
H 4.03755 -0.53433 -0.05503
O -1.73798 0.30652 -3.70766
H -0.96696 0.21600 -0.95151
H -1.24609 1.93665 -1.24011
O 2.69346 -0.77634 2.53840
H 3.24071 0.09996 -0.99143
H 2.88558 -0.57740 1.62937
O 0.59850 3.06906 2.42774
H 0.85693 2.20503 2.80946
H 1.71147 -1.59416 0.32259
O -3.52339 -1.04449 -1.16977
H -3.94629 -1.44602 -0.41088
H -3.14388 -0.17807 -0.97813
O 3.58283 -0.81092 -0.86885
H -1.78450 -0.64814 -3.52958
H 0.28474 -0.76565 -1.59347
```

Output
Spin multiplicity = 2
Kohn-Sham gap (spin up / spin down) = 0.396 / 0.212 Ha
LUMO (spin up / spin down) = -0.023 / -0.207 hartree

*b*
Molecular formula: H17O9
Method: DFT, ωB97M-V/def2-TZVPD

The geometry in XYZ format:
```
26
Properties=species:S:1:pos:R:3
O 1.20182 -1.06855 -0.45073
H 0.90526 -0.96686 2.25912
H 0.14943 0.21435 -1.48446
O 0.13455 1.11430 0.75258
H -0.55991 0.74338 1.35785
O 1.21837 -0.76450 -3.80547
H 1.63156 -0.98680 -2.84142
H 0.41287 -0.53162 -3.47984
O 1.85570 1.85205 3.14195
H 2.10447 -0.61903 -0.48734
H 1.15700 1.50832 2.54073
O -0.43286 0.62792 -2.22128
H -0.85100 1.28342 -1.69610
H 2.49859 1.12423 2.81268
O -2.30301 -1.25918 -1.81925
H -1.86828 -0.51034 -2.30450
H -1.69190 -1.50043 -1.07917
O 1.65835 -0.70367 1.93152
H 1.62179 -0.80000 0.75615
H 0.39806 0.50041 0.06918
O -2.23108 2.22468 1.19172
H -2.38133 1.33937 1.38468
H -1.45151 2.10359 0.50493
O -1.38812 -1.27911 1.07584
H -1.44066 -2.33047 1.09226
H -0.34814 -1.31543 0.79838
```

Output
Spin multiplicity = 2
Kohn-Sham gap (spin up / spin down) = 0.375 / 0.174 Ha
LUMO (spin up / spin down) = -0.031 / -0.232 hartree

Order from most stable to least stable according to the calculation: *a*, *b*

*a*
Molecular formula: C2H3ClNOP
Method: DFT, ωB97M-V/def2-TZVPD

The geometry in XYZ format:
```
9
Properties=species:S:1:pos:R:3
C 0.18030 -1.16522 -0.35211
C -0.17115 -0.15027 0.67173
N -0.16026 -2.33166 -0.40224
O -1.27380 -0.48072 1.52270
P -1.94721 -1.98018 1.46669
Cl -3.56020 -1.56187 0.35803
H 0.69604 -0.61843 -1.05297
H 0.64650 -0.07241 1.45660
H -0.36010 0.77171 0.11492
```

Output
Kohn-Sham gap (spin up / spin down) = 0.300 / 0.277 Ha
LUMO (spin up / spin down) = -0.028 / -0.028 hartree

*b*
Molecular formula: C2H3ClNOP
Method: DFT, ωB97M-V/def2-TZVPD

The geometry in XYZ format:
```
9
Properties=species:S:1:pos:R:3
C 1.65903 1.17865 -2.10566
C -0.01751 -0.11781 -0.11332
N 1.96744 2.03719 -2.79286
O 1.20281 -1.58532 -2.09003
P 1.37482 -0.40107 -1.25420
Cl 3.30557 -0.58912 -0.12486
H -0.14627 0.87369 0.03349
H -0.88426 -0.56963 -0.55665
H 0.06037 -0.72226 0.72239
```

Output
Structure (SMILES) = C[P@](=O)(Cl)C#N
Kohn-Sham gap = 0.405 Ha
LUMO = -0.022 hartree

Order from most stable to least stable according to the calculation: *b*, *a*

*a*
'''

-- Assignment --
Start at the top of the data above and write out each line, ending with the one that has "1.46669", please.

-- Completed --
*a*
Molecular formula: HN3S
Method: DFT, ωB97M-V/def2-TZVPD

The geometry in XYZ format:
```
5
Properties=species:S:1:pos:R:3
N 2.56726 -0.55478 0.42322
N 2.73197 0.20829 -0.34958
N 0.50414 -1.13978 0.35704
S -0.64042 -1.89432 -0.27280
H 0.41765 -0.65508 1.21645
```

Output
Structure (SMILES) = N#N.N=S
Kohn-Sham gap (spin up / spin down) = 0.271 / 0.271 Ha
LUMO (spin up / spin down) = -0.042 / -0.041 hartree

*b*
Molecular formula: HN3S
Method: DFT, ωB97M-V/def2-TZVPD

The geometry in XYZ format:
```
5
Properties=species:S:1:pos:R:3
N 0.63296 -0.73966 -0.60739
N -1.49553 -0.91865 0.50588
N 0.69836 0.41475 -0.33679
S -1.40116 0.40697 1.05057
H 1.56538 0.83660 -0.61227
```

Output
Kohn-Sham gap (spin up / spin down) = 0.287 / 0.252 Ha
LUMO (spin up / spin down) = -0.023 / -0.032 hartree

Order from most stable to least stable according to the calculation: *a*, *b*

*a*
Molecular formula: H17O9
Method: DFT, ωB97M-V/def2-TZVPD

The geometry in XYZ format:
```
26
Properties=species:S:1:pos:R:3
O -0.30648 -0.63173 -0.83188
H -0.11304 2.67689 1.88223
H -1.70472 0.62005 -2.77497
O 1.41760 -2.31940 0.87880
H 0.45017 -2.26621 0.96436
O -1.49512 0.98838 1.72812
H -0.54935 0.81562 1.72448
H -1.73773 1.16151 0.80464
O -1.84173 1.16292 -1.17919
H 2.33771 -1.66572 2.57226
H 4.03755 -0.53433 -0.05503
O -1.73798 0.30652 -3.70766
H -0.96696 0.21600 -0.95151
H -1.24609 1.93665 -1.24011
O 2.69346 -0.77634 2.53840
H 3.24071 0.09996 -0.99143
H 2.88558 -0.57740 1.62937
O 0.59850 3.06906 2.42774
H 0.85693 2.20503 2.80946
H 1.71147 -1.59416 0.32259
O -3.52339 -1.04449 -1.16977
H -3.94629 -1.44602 -0.41088
H -3.14388 -0.17807 -0.97813
O 3.58283 -0.81092 -0.86885
H -1.78450 -0.64814 -3.52958
H 0.28474 -0.76565 -1.59347
```

Output
Spin multiplicity = 2
Kohn-Sham gap (spin up / spin down) = 0.396 / 0.212 Ha
LUMO (spin up / spin down) = -0.023 / -0.207 hartree

*b*
Molecular formula: H17O9
Method: DFT, ωB97M-V/def2-TZVPD

The geometry in XYZ format:
```
26
Properties=species:S:1:pos:R:3
O 1.20182 -1.06855 -0.45073
H 0.90526 -0.96686 2.25912
H 0.14943 0.21435 -1.48446
O 0.13455 1.11430 0.75258
H -0.55991 0.74338 1.35785
O 1.21837 -0.76450 -3.80547
H 1.63156 -0.98680 -2.84142
H 0.41287 -0.53162 -3.47984
O 1.85570 1.85205 3.14195
H 2.10447 -0.61903 -0.48734
H 1.15700 1.50832 2.54073
O -0.43286 0.62792 -2.22128
H -0.85100 1.28342 -1.69610
H 2.49859 1.12423 2.81268
O -2.30301 -1.25918 -1.81925
H -1.86828 -0.51034 -2.30450
H -1.69190 -1.50043 -1.07917
O 1.65835 -0.70367 1.93152
H 1.62179 -0.80000 0.75615
H 0.39806 0.50041 0.06918
O -2.23108 2.22468 1.19172
H -2.38133 1.33937 1.38468
H -1.45151 2.10359 0.50493
O -1.38812 -1.27911 1.07584
H -1.44066 -2.33047 1.09226
H -0.34814 -1.31543 0.79838
```

Output
Spin multiplicity = 2
Kohn-Sham gap (spin up / spin down) = 0.375 / 0.174 Ha
LUMO (spin up / spin down) = -0.031 / -0.232 hartree

Order from most stable to least stable according to the calculation: *a*, *b*

*a*
Molecular formula: C2H3ClNOP
Method: DFT, ωB97M-V/def2-TZVPD

The geometry in XYZ format:
```
9
Properties=species:S:1:pos:R:3
C 0.18030 -1.16522 -0.35211
C -0.17115 -0.15027 0.67173
N -0.16026 -2.33166 -0.40224
O -1.27380 -0.48072 1.52270
P -1.94721 -1.98018 1.46669